(Brief)
Work out how many lines underneath have the word "atom" in them; a number is enough.
(Listing)
<<<
C10H21Cl2NO3PTb as an isolated structure, computed with ωB97M-V with the def2-TZVPD basis set.

Output
Multiplicity: 7
Molar mass, g/mol: 464.09
Largest force on an atom, eV/Å: 7.89
Energy relative to the best compared isomer or geometry (same formula, charge and spin), kcal/mol: 13.1
E_HOMO (alpha / beta), eV: -16.426 / -16.366
LUMO energy (alpha / beta), eV: -8.1464 / -7.8505
Total charge: +2

Each line ends with the Löwdin spin population.
Positions of all 39 atoms, in Å:
C: 0.5421 -3.9670 -1.4688  -0.0001
C: 0.7920 -2.7331 -0.6281  0.0000
H: -0.5316 -4.2186 -1.5084  0.0000
H: 1.0906 -4.8233 -1.0398  0.0000
H: 0.9371 -3.7744 -2.4873  0.0000
O: -0.0206 -1.8874 -0.2608  -0.0013
Cl: 2.4575 -2.5834 -0.1726  -0.0002
Tb: -0.0605 1.5353 0.8630  6.1240
P: -0.0130 1.0466 -2.1909  -0.0190
C: -1.5285 1.5382 -3.1072  -0.0031
C: 1.1329 2.3495 -2.7916  0.0010
H: 1.4553 -0.7787 -2.9465  0.0000
H: 0.6160 -0.0870 -4.3435  -0.0005
H: -0.2593 -1.1565 -3.2465  0.0000
C: 0.5015 -0.3731 -3.2899  -0.0026
H: 2.1625 2.0662 -2.5280  0.0001
H: 1.0778 2.4911 -3.8827  0.0000
H: -1.3365 1.7310 -4.1722  -0.0007
H: -1.9326 2.4444 -2.6464  0.0000
H: 0.8948 3.3014 -2.2917  0.0002
H: -2.2583 0.7261 -3.0279  0.0000
C: -2.2963 0.8849 -0.0506  -0.0259
O: -3.2502 0.3383 -0.4741  -0.0009
Cl: 0.8131 3.8493 1.0755  -0.0315
C: -0.8476 -0.5214 5.9075  -0.0001
N: -0.2373 -0.6161 4.5449  -0.0003
C: 0.7362 -1.6879 4.2789  -0.0001
C: -0.4603 0.2581 3.5884  -0.0026
C: -1.4145 1.4037 3.7272  -0.0061
O: 0.1854 0.1379 2.4606  -0.0269
H: -0.4342 -1.2915 6.5646  0.0000
H: -1.9391 -0.6502 5.8773  0.0000
H: -0.6312 0.4565 6.3588  -0.0001
H: 0.3936 -2.3357 3.4558  0.0000
H: 1.7173 -1.2650 3.9994  0.0000
H: 0.8634 -2.2849 5.1887  0.0000
H: -0.8885 2.3443 3.4535  -0.0021
H: -2.3116 1.2418 3.0965  -0.0006
H: -1.7387 1.4939 4.7732  -0.0007

***

A 6-piece molecular cluster, C10H21F2O21PS5 overall, computed with ωB97M-V with the def2-TZVPD basis set.

Output
Multiplicity: 1
Molar mass, g/mol: 706.56
Largest force on an atom, eV/Å: 1.36
Energy relative to the best compared isomer or geometry (same formula, charge and spin), kcal/mol: 0.0
E_HOMO, eV: -10.698
LUMO energy, eV: 0.2879
Total charge: 0
SMILES string: O=S1(=O)OCCO1.O=S1(=O)OCCO1.O=S1(=O)OCCO1.O=S1(=O)OCCO1.O=S1(=O)OCCO1.OP(F)F

Each line ends with the natural charge from an NBO analysis.
Positions of all 60 atoms, in Å:
O: -0.3878 3.7089 0.9408  -1.0117
P: -1.9120 3.8901 1.4040  1.6730
F: -2.5957 2.7775 0.4602  -0.5988
F: -2.3122 5.1759 0.5581  -0.5811
H: -0.2964 3.9102 -0.0117  0.5253
C: -0.4019 -0.2353 -1.6086  -0.1017
C: -0.7026 -0.3082 -3.0922  -0.1091
O: -0.8502 1.0696 -3.4839  -0.6855
S: 0.1223 1.9856 -2.6260  2.5636
O: 1.3193 2.2360 -3.3330  -0.8759
O: -0.6515 3.0414 -2.0630  -0.9392
O: 0.4486 0.9187 -1.4849  -0.7097
H: -1.3034 -0.0616 -1.0181  0.1942
H: 0.1139 -1.1152 -1.2323  0.2295
H: -1.6153 -0.8539 -3.3127  0.2135
H: 0.1258 -0.7354 -3.6582  0.2196
C: -6.2684 2.0791 0.0142  -0.0964
C: -5.2924 1.5051 1.0193  -0.1135
O: -5.9830 1.6150 2.2746  -0.6893
S: -7.5517 1.4272 2.0516  2.5477
O: -7.9178 0.0845 2.3333  -0.9009
O: -8.2229 2.5150 2.6674  -0.8963
O: -7.5514 1.6208 0.4654  -0.6897
H: -6.2658 3.1706 0.0292  0.1941
H: -6.0869 1.7308 -0.9987  0.2122
H: -4.3576 2.0478 1.0542  0.2338
H: -5.0954 0.4480 0.8265  0.1888
C: 3.5439 0.7185 0.5639  -0.1034
C: 2.2199 0.5545 1.2857  -0.1050
O: 2.0148 -0.8658 1.3215  -0.6953
S: 3.4159 -1.6099 1.4548  2.5590
O: 3.7132 -1.9024 2.8042  -0.8876
O: 3.4924 -2.5918 0.4312  -0.9062
O: 4.3506 -0.3608 1.0608  -0.6918
H: 3.4292 0.6024 -0.5165  0.2019
H: 4.0228 1.6703 0.7768  0.2102
H: 1.3954 1.0284 0.7625  0.2259
H: 2.2694 0.9301 2.3098  0.1914
C: -0.3499 -3.8466 5.6242  -0.0984
C: -0.3985 -2.3469 5.8345  -0.1008
O: 0.4888 -1.8282 4.8357  -0.6875
S: 0.4378 -2.7451 3.5275  2.5528
O: -0.4590 -2.1712 2.5856  -0.9091
O: 1.7682 -3.0806 3.1765  -0.8862
O: -0.2925 -4.0009 4.2005  -0.6882
H: 0.5513 -4.2847 6.0569  0.1952
H: -1.2266 -4.3557 6.0149  0.2127
H: -0.0600 -2.0440 6.8211  0.2145
>>>
(Outcome)
2